### Work order
Now find the line underneath that holds "_cell_length_a 18.3081", then return that line and all lines after it there.
### Contents
Starting from a PBE-relaxed structure, the PXRD pattern of TmHg3Cl9 was calculated for a wavelength of 1.5418 Å.
Kinematic intensities with the Lorentz-polarization factor, no thermal factor.

Structure:
```
data_TmHg3Cl9
_chemical_formula_sum 'Tm4 Hg12 Cl36'
_space_group_name_H-M_alt 'C 1 c 1'
_space_group_IT_number 9
_space_group_name_Hall 'C -2yc'
_cell_length_a 18.3081
_cell_length_b 9.3782
_cell_length_c 12.9259
_cell_angle_alpha 90.00
_cell_angle_beta 129.14
_cell_angle_gamma 90.00
loop_
_atom_site_label
_atom_site_fract_x
_atom_site_fract_y
_atom_site_fract_z
_atom_site_occupancy
Tm1 0.0000 0.2209 0.0000 1
Hg1 0.1262 0.4375 0.8299 1
Hg2 0.2650 0.0717 0.7870 1
Hg3 0.3738 0.3685 0.6701 1
Cl1 0.0171 0.0811 0.1928 1
Cl2 0.1112 0.4361 0.1416 1
Cl3 0.1412 0.0492 0.0704 1
Cl4 0.1982 0.3519 0.4934 1
Cl5 0.2530 0.2388 0.9271 1
Cl6 0.3650 0.1397 0.4694 1
Cl7 0.3689 0.4492 0.3232 1
Cl8 0.4108 0.1489 0.8169 1
Cl9 0.4948 0.1962 0.2993 1
```

Principal peaks in the range 2θ = 5–70°, sorted by position:
- (1 1 1), 16.6 deg, I = 100.0
- (3 1 -2), 18.3 deg, I = 76.7
- (3 1 0), 21.0 deg, I = 35.7
- (2 2 -1), 21.3 deg, I = 21.6
- (2 2 0), 22.8 deg, I = 34.2
- (0 2 2), 26.0 deg, I = 19.3
- (2 2 -3), 28.5 deg, I = 47.1
- (6 2 -4), 37.1 deg, I = 25.0
- (1 3 3), 42.8 deg, I = 19.8
- (5 3 -5), 45.7 deg, I = 20.3
### Reply
_cell_length_a 18.3081
_cell_length_b 9.3782
_cell_length_c 12.9259
_cell_angle_alpha 90.00
_cell_angle_beta 129.14
_cell_angle_gamma 90.00
loop_
_atom_site_label
_atom_site_fract_x
_atom_site_fract_y
_atom_site_fract_z
_atom_site_occupancy
Tm1 0.0000 0.2209 0.0000 1
Hg1 0.1262 0.4375 0.8299 1
Hg2 0.2650 0.0717 0.7870 1
Hg3 0.3738 0.3685 0.6701 1
Cl1 0.0171 0.0811 0.1928 1
Cl2 0.1112 0.4361 0.1416 1
Cl3 0.1412 0.0492 0.0704 1
Cl4 0.1982 0.3519 0.4934 1
Cl5 0.2530 0.2388 0.9271 1
Cl6 0.3650 0.1397 0.4694 1
Cl7 0.3689 0.4492 0.3232 1
Cl8 0.4108 0.1489 0.8169 1
Cl9 0.4948 0.1962 0.2993 1
```

Principal peaks in the range 2θ = 5–70°, sorted by position:
- (1 1 1), 16.6 deg, I = 100.0
- (3 1 -2), 18.3 deg, I = 76.7
- (3 1 0), 21.0 deg, I = 35.7
- (2 2 -1), 21.3 deg, I = 21.6
- (2 2 0), 22.8 deg, I = 34.2
- (0 2 2), 26.0 deg, I = 19.3
- (2 2 -3), 28.5 deg, I = 47.1
- (6 2 -4), 37.1 deg, I = 25.0
- (1 3 3), 42.8 deg, I = 19.8
- (5 3 -5), 45.7 deg, I = 20.3